When you’re in a lot of debt, there’ll be people who will try to take advantage of you. These fraudsters charge you thousands of dollars with a promise of lowering your student loan payments and student debt forgiveness. The student loan scams have cost borrowers over $95 million, according to the Federal Trade Commission (FTC). But that’s about to change for good!
On December 7, 2020, the House and the Senate passed a bipartisan bill. In that bill, anyone who gains unauthorized access to the U.S. Education Department’s information technology systems for “commercial advantage” or personal gain commits a federal crime.
Scammers can be fined a maximum of $20,000, serve in prison for five years, or both. The bill is called the “Stop Student Debt Relief Scams Act.” It’s set to increase exit counseling requirements for universities and colleges that take part in the federal student aid programs.
Exit Counseling Plan To Curb Student Loan Scams
The purpose of the exit counseling is to decrease student loan scams substantially by warning students about the fraudulent student debt relief agencies. (By the way, not all student debt relief companies are frauds. We’ll explore more below.)
According to the law, the Education Department would have to prevent thieves and hackers from accessing their database. And also to warn students if they notice anything suspicious with their accounts.
The COVID-19 student loan forbearance ends on the last day of the month, January 31, 2021. It’s expected that more fraudulent companies will try to prey on desperate student loan borrowers. So beware!
Why You Should Be Alert About Student Loan Scams
We are yet to see if the Stop Student Debt Relief Scams Act will become law. But even if it doesn’t, you should watch out for student loan scams, both old and new.
Most of the worst scammers have been laying low since the federal government paused the interest and payments on federal student loans. But you can be assured that they will spring up again after it ends on January 31, 2021.
To avoid being a victim, you need to follow the advice the U.S. Department of Education gives. According to them, you don’t have to pay for assistance when it comes to your federal student loans or financial aid. Unfortunately, numerous companies pretend as debt relief institutions that can offer a quick way out of debt.
Usually, these companies ask for $1,000 or more before helping you. Meanwhile, you can get that same service for free at the U.S. Department of Education. When you agree, they sometimes steal your personal information or personal identity.
How To Spot Student Loan Scams
You can most easily spot scammers because they tend to make outrageous claims. But it can be beneficial when you know what to watch out for. These fraudulent companies might say you have to make payments now for their service, or you’ll lose the chance altogether.
Some even might assure you that you’ll get more financial aid, which is so not true. A third-party company can’t pull that off. Some companies are also more interested in acquiring your personal information instead of assisting you with your student loan debt.
Here’s an example. The scammers can promise to decrease your loan debt or help you become eligible for more financial aid. However, you have to give them your credit card number or bank account information for that to happen.
That said, you can be sure that you’re working with a fraudulent firm if any of the following happens:
Make An Advanced Payment
The company asks you to make an upfront payment or monthly fees before they can help. It’s a crime to ask for upfront fees before they can help you get rid of your debt. If a firm asks you to pay anything, that should be your cue.
Immediate Student Loan Forgiveness
If the company assures you that they can have your student loans forgiven, that should be your red flag. According to the U.S. Department of Education, no one can promise immediate and total loan cancellation or forgiveness.
Most federal forgiveness programs take years of qualifying payments or employment in a qualified public service position. If a company says they can somehow work out a way for you, they’re deceiving you. It’s simply not true.
(1)
Ho2CdHg after structural relaxation, computed with GGA-PBE.

POSCAR file:
```
Ho2CdHg
1.0
0.000 3.723 3.723
3.723 0.000 3.723
3.723 3.723 0.000
Ho Cd Hg
2 1 1
Direct
0.250 0.250 0.250
0.750 0.750 0.750
0.000 0.000 0.000
0.500 0.500 0.500
```

E	-2.989	eV/atom
crystal system	cubic
SG	Fm-3m, No. 225
ΔE_f	-9.0	kcal/mol of atoms

(2)
CdHg6Sb4I6 after structural relaxation, computed with GGA-PBE.

POSCAR file:
```
CdHg6Sb4I6
1.0
9.708 -9.923 0.000
9.708 9.923 0.000
-0.293 0.000 13.814
Cd Hg Sb I
4 24 16 24
Direct
0.232 0.260 0.174
0.260 0.232 0.674
0.740 0.768 0.326
0.768 0.740 0.826
0.004 0.996 0.250
0.014 0.503 0.250
0.019 0.251 0.463
0.019 0.755 0.027
0.244 0.509 0.504
0.244 0.528 0.996
0.245 0.981 0.473
0.251 0.019 0.963
0.457 0.543 0.750
0.472 0.756 0.504
0.491 0.756 0.996
0.497 0.986 0.250
0.503 0.014 0.750
0.509 0.244 0.004
0.528 0.244 0.496
0.543 0.457 0.250
0.749 0.981 0.037
0.755 0.019 0.527
0.756 0.472 0.004
0.756 0.491 0.496
0.981 0.245 0.973
0.981 0.749 0.537
0.986 0.497 0.750
0.996 0.004 0.750
0.055 0.063 0.935
0.061 0.562 0.063
0.063 0.055 0.435
0.063 0.447 0.437
0.433 0.564 0.552
0.436 0.567 0.948
0.438 0.939 0.437
0.447 0.063 0.937
0.553 0.937 0.063
0.562 0.061 0.563
0.564 0.433 0.052
0.567 0.436 0.448
0.937 0.553 0.563
0.937 0.945 0.565
0.939 0.438 0.937
0.945 0.937 0.065
0.027 0.258 0.201
0.059 0.257 0.695
0.194 0.763 0.532
0.201 0.522 0.754
0.237 0.806 0.968
0.253 0.301 0.973
0.257 0.059 0.195
0.258 0.027 0.701
0.301 0.253 0.473
0.304 0.440 0.246
0.440 0.304 0.746
0.478 0.799 0.746
0.522 0.201 0.254
0.560 0.696 0.254
0.696 0.560 0.754
0.699 0.747 0.527
0.742 0.973 0.299
0.743 0.941 0.805
0.747 0.699 0.027
0.763 0.194 0.032
0.799 0.478 0.246
0.806 0.237 0.468
0.941 0.743 0.305
0.973 0.742 0.799
```

E (MP2020)	-138.64	eV for the cell shown
E	-1.905	eV/atom
crystal system	monoclinic
SG	C2/c, No. 15
ΔE_f	-8.5	kcal/mol of atoms

(3)
La2CdHg after structural relaxation, computed with GGA-PBE.

POSCAR file:
```
La2CdHg
1.0
0.000 3.931 3.931
3.931 0.000 3.931
3.931 3.931 0.000
La Cd Hg
2 1 1
Direct
0.250 0.250 0.250
0.750 0.750 0.750
0.000 0.000 0.000
0.500 0.500 0.500
```

E	-3.175	eV/atom
distance to the lowest polymorph of the same formula	0.0	meV per atom
crystal system	cubic
SG	Fm-3m, No. 225
ΔE_f	-9.2	kcal/mol of atoms

(4)
Li2CdHg after structural relaxation, computed with GGA-PBE.

POSCAR file:
```
Li2CdHg
1.0
0.000 3.332 3.332
3.332 0.000 3.332
3.332 3.332 0.000
Li Cd Hg
2 1 1
Direct
0.250 0.250 0.250
0.750 0.750 0.750
0.000 0.000 0.000
0.500 0.500 0.500
```

E	-1.572	eV/atom
crystal system	cubic
SG	Fm-3m, No. 225
ΔE_f	-7.2	kcal/mol of atoms

=====

[1]
A plane-wave DFT calculation with r²SCAN was carried out for a geometry-optimized InBiS3 structure.

Structure (POSCAR):
```
InBiS3
1.0
-0.8931 -3.4820 1.5233
6.1515 -2.0791 -1.1457
2.9787 3.1356 8.9137
S Bi In
6 2 2
Cartesian
7.5404 -1.8412 7.7167 S
4.9367 0.9173 7.4925 S
3.3005 -3.3427 1.7988 S
0.6967 -0.5842 1.5746 S
2.3915 -1.5346 5.3988 S
5.8457 -0.8908 3.8925 S
When A Company Asks For Your FSA ID
You should be wary when a student debt relief company asks you for your FSA ID or password. Even the U.S. Department of Education will never ask for your FSA ID or password. If anyone gets a hold of this information, they can use it for numerous atrocious purposes. For example, they can make changes to your account.
Asks For Power Of Attorney
Has any company asked you to grant them power of attorney? This is a clear indication of fraud. If a debt relief firm asks for legal authorization to make decisions in your stead, you should run.
The Companies Don’t Look Professional.
The fraudulent companies are terrible at communications. They don’t look professional. If you’ve ever received an email or any printed information, you’ll find lists of grammatical errors. That’s a perfect sign that the company is not legitimate.
According to the Federal Communications Commission, you can receive robocalls from people who promise financial relief. You can only make any changes to your student loans with your loan servicer. And that will have to be in partnership with the U.S. Department of Education.
If you receive any calls from anyone telling you otherwise, you’re dealing with a scammer.
- - -
Below is a relaxed structure of Sr2MgCoO4, with properties calculated at the GGA+U level.

Cell: 3.8529 3.8946 9.8815 Å, 101.37 101.24 90.00°
Closest atoms and distances in Å follow each position.
Atoms (fractional coordinates):
Mg: 0.5000 0.5000 0.0000  4 O 1.93-1.95
Sr: 0.3138 0.3138 0.6277  1 O 2.34
Sr: 0.6862 0.6862 0.3723  1 O 2.34
O: 0.5000 0.0000 0.0000  2 Co 1.93, 2 Mg 1.95
O: 0.0000 0.5000 0.0000  2 Mg 1.93, 2 Co 1.95
O: 0.1905 0.1905 0.3810  1 Sr 2.34
O: 0.8095 0.8095 0.6190  1 Sr 2.34
Co: 0.0000 0.0000 0.0000  4 O 1.93-1.95

Output
* symmetry: No. 71
* E_tot: -5.63 eV/atom
* magnetic moment: 3.0 μB/f.u.

---

Below is a relaxed structure of Sr2MgCoWO6, with properties calculated at the GGA+U level.

Cell: 6.1762 6.7876 6.2924 Å, 131.57 127.08 72.05°
Closest atoms and distances in Å follow each position.
Atoms (fractional coordinates):
Sr: 0.7988 0.3080 0.5207  4 O 2.44-2.69
Sr: 0.2012 0.6920 0.4792  4 O 2.44-2.69
Mg: 0.5000 0.0000 0.5000  6 O 2.03-2.24
Co: 0.0000 0.0000 0.0000  4 O 1.99-2.09
W: 0.5001 0.5002 0.0001  6 O 2.02-2.19
O: 0.1792 0.7048 0.0489  1 Mg 2.03, 1 Co 2.09, 1 W 2.10
O: 0.6594 0.8364 0.1799  1 W 2.02, 1 Mg 2.24
O: 0.8208 0.2952 0.9511  1 Mg 2.03, 1 Co 2.09, 1 W 2.10
O: 0.6906 0.7133 0.5422  1 Co 1.99, 1 Mg 2.03, 1 W 2.18
O: 0.3094 0.2867 0.4578  1 Co 1.99, 1 Mg 2.04, 1 W 2.19
O: 0.3406 0.1635 0.8200  1 W 2.02, 1 Mg 2.24

Output
* symmetry: No. 2
* E_tot: -6.40 eV/atom
* magnetic moment: 1.0 μB/f.u.

---

Below is a relaxed structure of Sr2MgCoWO6, with properties calculated at the GGA+U level.

Cell: 6.9930 6.6480 5.4162 Å, 113.57 122.39 101.12°
Closest atoms and distances in Å follow each position.
Atoms (fractional coordinates):
O: 0.8258 0.6804 0.5508  1 Co 1.90, 1 W 2.08
O: 0.3092 0.5967 0.1407  1 W 1.95, 1 Mg 2.13
O: 0.1742 0.3197 0.4492  1 Co 1.90, 1 W 2.08
O: 0.3977 0.2041 0.0329  1 W 2.07, 1 Mg 2.08
O: 0.6023 0.7959 0.9671  1 W 2.07, 1 Mg 2.08
O: 0.6908 0.4033 0.8593  1 W 1.95, 1 Mg 2.13
Mg: 0.5000 0.5000 0.5001  6 O 2.08-2.17
Sr: 0.8230 0.2319 0.4973  5 O 2.43-2.64
Sr: 0.1770 0.7681 0.5027  5 O 2.43-2.64
Co: 0.0000 0.0000 0.0000  2 O 1.90
W: 0.5000 0.5000 0.9999  6 O 1.95-2.08

Output
* symmetry: No. 2
* E_tot: -6.43 eV/atom
* magnetic moment: 3.0 μB/f.u.

---

Calculated energy of formation (meV/atom), listed in the same order as above: -2194.8; -2353.3; -2380.5

=====

TlPPbS4 | PBE-GGA | optimized geometry

Cell: 12.523 6.665 8.947 Å, 90.00 90.00 90.00°
Fractional coordinates of all 28 atoms:
Tl1 0.108 0.250 0.129
Tl2 0.392 0.750 0.629
Tl3 0.608 0.250 0.371
Tl4 0.892 0.750 0.871
P1 0.153 0.750 0.373
P2 0.347 0.250 0.873
P3 0.653 0.750 0.127
P4 0.847 0.250 0.627
Pb1 0.130 0.250 0.605
Pb2 0.370 0.750 0.105
Pb3 0.630 0.250 0.895
Pb4 0.870 0.750 0.395
S1 0.050 0.750 0.195
S2 0.069 0.750 0.572
S3 0.248 0.004 0.863
S4 0.248 0.496 0.863
S5 0.252 0.504 0.363
S6 0.252 0.996 0.363
S7 0.431 0.250 0.072
S8 0.450 0.250 0.695
S9 0.550 0.750 0.305
S10 0.569 0.750 0.928
S11 0.748 0.004 0.637
S12 0.748 0.496 0.637
- - -
The Right Way To Get Assistance With Your Student Loans
All payments and interest are currently waived on almost all federal student loans until January 31, 2021. That means if you have qualified federal student loans, you can skip payments and not worry about any accruing interests until February 2021.
It’s possible that the federal government can extend the temporary forbearance. So you should regularly check on the official FSA page. Also, keep in mind that you can change some of the terms on your student loans with your loan servicer.
For example, you can change from the standard ten-year repayment plan to an extended repayment plan. That way, you could have lower payments every month. You can also check out if you’re eligible for loan forgiveness programs targeted at particular professions or other service programs such as PSLF.
You can also check if you can repay your student loans on an income-driven repayment plan. However, whatever happens, don’t fall prey to the mails and calls from a company that says they can get rid of your student loans for you. They can’t help you, and they might even steal your assets or your identity.
Are All Student Loan Relief Companies Scam?
No. They’re not. Yes, you don’t need to pay anyone to take care of your student loans for you. You can do it yourself at StudentAid.gov. However, some people need help, which is fine—all you need is to find a legitimate student loan relief company.
We know this might sound counter-intuitive, but you can call your student loan servicing company. You can solve 80% of your concerns, and issues can be resolved when you talk to your loan servicer. If you don’t prefer student loan servicing, you can speak with a financial planner who’s an expert in student loan debt.
You can also reach out to us. At Student Loans Resolved, we help you figure out what to do with your student loans. We assist you through the entire process until you attain your financial freedom. Contact us at 800-820-8128, and we’ll help you out.
How To Report Student Loan Scams
If you come across a fraudulent company, file complaints with the Consumer Financial Protection Bureau (CFPB). You can also send your complaints to your state attorney general’s office and the Federal Trade Commission. These organizations rely on consumer complaints to protect students from scammers. They can also get your money back to you when possible.
There are numerous student loan scams out there because filling out the necessary paperwork can be time-consuming and complicated. But if you acquire the right information, you’ll know how to get the government to help you for free without losing money to scammers.
Fortunately, the federal government will make student loan scams a federal crime, which will reduce the number of scammers in the country. But you can’t wait for that to happen before you take action on your student debt. Follow the steps we’ve provided in this article, and you’ll tackle your debts without losing thousands of dollars to scammers.
However, you may not have the time to take over your student loan debts for various reasons. That’s why we recommend legitimate student debt relief agencies. These firms can help you get rid of your student loans the legal way. You can contact us at 800-820-8128, and we’ll assist you with your student loans.